“Charlotte, what do you want from me? Why are you here?”

It was so hard sitting across from him. All she could think about was their time together and how safe and secure she’d felt. How she’d relaxed when relax wasn’t really something she ever did. “I told you. I thought this was the kind of news to deliver in person.”

“Fair.” He leaned ahead, resting his elbows on his knees. “But you must have some idea about what you think this should look like.” He motioned with his finger, going back and forth between them. “You always have a plan, Charlie. So what’s the plan?”

They’d known each other for nine days and he already knew that about her. “I’ll raise the baby on my own. I can have a career and a child. I’ll have lots of help and I have it so much better than most women. Financial security is not an issue for me. I’m very lucky, really.”

Then she smiled, and meant it. She knew how fortunate she was. “My sister, Arabella, is already making sounds about being an auntie and Maman is making plans for a nursery at the chateau. I have lots of support.”

He leaned back. “Then what you’re saying is you don’t need me.”

Data records, kept here for reference:
<<<
[1]
For Na3In3PS8, DFT lattice parameters and positions (GGA-PBE) gives the simulated X-ray powder pattern in this record (Cu Kα).

Crystal structure
```
data_Na3In3PS8
_chemical_formula_sum 'Na9 In9 P3 S24'
_cell_length_a 7.4991
_cell_length_b 7.4991
_cell_length_c 20.4639
_cell_angle_alpha 90.00
_cell_angle_beta 90.00
_cell_angle_gamma 120.00
_space_group_name_H-M_alt 'R -3 m'
_space_group_IT_number 166
_space_group_name_Hall '-R 3 2"'
loop_
_atom_site_label
_atom_site_type_symbol
_atom_site_fract_x
_atom_site_fract_y
_atom_site_fract_z
Na1 Na 0.0000 0.5000 0.0000
In1 In 0.0000 0.5000 0.5000
P1 P 0.0000 0.0000 0.5000
S1 S 0.0000 0.0000 0.2389
S2 S 0.0271 0.5136 0.2353
```

Main lines, sorted by position (2θ = 5–70°):
2θ = 12.98°, intensity 92, (0 0 3); 2θ = 27.82°, intensity 25, (0 2 1); 2θ = 32.66°, intensity 100, (0 2 4); 2θ = 41.57°, intensity 21, (0 2 7); 2θ = 45.12°, intensity 34, (2 0 8); 2θ = 48.56°, intensity 31, (2 2 0)

[2]
For Cu2NiI4, DFT lattice parameters and positions (GGA-PBE) gives the simulated X-ray powder pattern in this record (Cu Kα).

Crystal structure
```
data_Cu2NiI4
_chemical_formula_sum 'Cu2 Ni1 I4'
_cell_length_a 5.995
_cell_length_b 5.995
_cell_length_c 5.927
_cell_angle_alpha 90.00
_cell_angle_beta 90.00
_cell_angle_gamma 90.00
_space_group_name_H-M_alt 'P -4 2 m'
_space_group_IT_number 111
_space_group_name_Hall 'P -4 2'
loop_
_atom_site_label
_atom_site_type_symbol
_atom_site_fract_x
_atom_site_fract_y
_atom_site_fract_z
Cu1 Cu 0.000 0.500 0.000
Ni1 Ni 0.000 0.000 0.500
I1 I 0.250 0.250 0.744
```

Main lines, sorted by position (2θ = 5–70°):
2θ = 25.84°, intensity 100, (1 1 1); 2θ = 42.66°, intensity 22, (2 2 0); 2θ = 42.92°, intensity 42, (2 0 2); 2θ = 50.55°, intensity 31, (3 1 1); 2θ = 51.00°, intensity 15, (1 1 3); 2θ = 68.61°, intensity 12, (3 1 3)

[3]
For Be4ZnCu8, DFT lattice parameters and positions (GGA-PBE) gives the simulated X-ray powder pattern in this record (Cu Kα).

Crystal structure
```
data_Be4ZnCu8
_chemical_formula_sum 'Be8 Zn2 Cu16'
_cell_length_a 7.970
_cell_length_b 7.970
_cell_length_c 4.544
_cell_angle_alpha 90.00
_cell_angle_beta 90.00
_cell_angle_gamma 90.00
_space_group_name_H-M_alt 'I 4/m m m'
_space_group_IT_number 139
_space_group_name_Hall '-I 4 2'
loop_
_atom_site_label
_atom_site_type_symbol
_atom_site_fract_x
_atom_site_fract_y
_atom_site_fract_z
Be1 Be 0.250 0.250 0.250
Zn1 Zn 0.000 0.000 0.000
Cu1 Cu 0.000 0.217 0.500
Cu2 Cu 0.000 0.344 0.000
```

Main lines, sorted by position (2θ = 5–70°):
2θ = 22.31°, intensity 26, (2 0 0); 2θ = 31.76°, intensity 37, (2 2 0); 2θ = 39.28°, intensity 49, (3 0 1); 2θ = 39.67°, intensity 53, (0 0 2); 2θ = 45.64°, intensity 100, (3 2 1); 2θ = 51.37°, intensity 27, (4 1 1)

[4]
For CdIn3Ga4, DFT lattice parameters and positions (GGA-PBE) gives the simulated X-ray powder pattern in this record (Cu Kα).

Crystal structure
```
data_CdIn3Ga4
_chemical_formula_sum 'Cd1 In3 Ga4'
_cell_length_a 4.254
_cell_length_b 4.357
_cell_length_c 10.433
>>>

She hadn’t meant it that way, and knew she had to tread carefully now. “Jacob, you need to take time to think about this. I would never deny you access to see your child. That’s not right. But if you don’t want to be a part of this, I want to know before the baby is born. The last thing I want is for my child to have a father who passes in and out of their life, setting up expectations and delivering disappointments. If you don’t want this, it’s okay. But if you do want to be a part, we need to talk down the road about what that will look like.”

His gray eyes flared and she knew she’d hit a nerve. His eyes were the same flinty color as when he’d been angry with her in New York. It was okay, though. She hadn’t expected this to be an easy conversation.

“You expect me to just walk away and pretend my child doesn’t exist?” He let out a huff. “I know we were only together a short time, but I thought you knew me better than that. I have a duty and I don’t intend to shirk it.”

Her heart stumbled. She didn’t want his parenthood to be a “duty.” “Please, don’t do this out of some sense of obligation. I’d rather you not be involved at all than consider visitation some sort of obligation to check off on the calendar.”

He got up from the chair and began to pace. She’d upset him again, but these were things that needed to be said. He ran his hand through his hair—he needed a cut, she noticed, and the urge to sink her fingers into the soft strands was overwhelming. They were talking parenting logistics here, so why was she thinking about touching him? Not helpful at all.

Jacob finally faced her. “I think you and I have differing definitions of duty,” he said. “It’s not the same as an obligation, which to me has a very different connotation. Duty...that is something I choose. I do it consciously, fully recognizing the implications of it. I joined the military of my own free will, and then I had a duty...to my country, to my unit, to my team. It came with risks and rewards, but it was something I chose to bind myself to. When I left the Forces and started this business, I chose duty again. Duty to my clients, of course, but duty to my team to make sure they have the best information and resources possible.

“This baby didn’t ask to be conceived. And I could walk away, I suppose. But that’s not the type of man I am. And so my duty doesn’t come from an obligation but from a place deep inside me. A willing place, a place where I choose to do what’s right. That sort of duty isn’t a burden. It’s an honor.”

She blinked back tears. He was such a good man. But he didn’t love her. And she wasn’t sure she loved him... How could she after such a brief fling?

Besides, nothing had changed. He still ran his company from here and she lived and worked in Paris. He certainly prospered but did so without the intrusive celebrity that came with being a Pemberton. He’d made it into a magazine but he’d never been hit with the tabloids. Being part of the Pemberton family was a whole other level of everything. While many yearned to be a part of that world, it wasn’t Jacob’s style. He’d be miserable, wouldn’t he?

“Okay,” she whispered, still emotional after his speech. “Okay, then, we’ll figure it out. You’ll be a part of our baby’s life.” And a part of hers, she realized. She’d be tied to him forever. It sent a pain rippling through her chest. Tied to him without having him. Maybe it would get easier with time.

He sat beside her on the sofa. “Do you need anything? It must sound ridiculous, I suppose. If you needed something, you could just buy it.”

“What I needed was to tell you, to see where your head’s at.” She wet her lips, which were suddenly dry. “You didn’t disappoint me. You never have.”

“I try,” he replied, and nudged her shoulder with his own.

She laughed a little, and the sound trailed away, a bit wistfully, she realized.

Misplaced materials data:
~~~
Diffraction record for BC2. The powder XRD pattern is theoretical, not measured: it uses a crystal structure in Alexandria, relaxed with PBE and Cu Ka.
Lines closer than 0.1° are merged.

Most intense lines, 5° ≤ 2θ ≤ 70°, in order of falling intensity:
2θ (°), I (rel.)
42.72, 100
41.70, 92
11.16, 15
32.73, 2
26.11, 2
22.42, 1
52.09, 1
42.08, 1

```
12
Lattice="2.555 0.000 0.000 0.000 7.930 0.000 0.000 0.000 3.780" Properties=species:S:1:pos:R:3 pbc="T T T"
B 0.000 0.660 0.000
B 0.000 5.926 3.776
B 1.277 2.003 1.886
B 1.277 7.269 1.890
C 0.000 2.086 0.825
C 0.000 3.332 3.740
C 0.000 4.564 0.954
C 0.000 7.235 0.861
C 1.277 0.695 2.752
C 1.277 3.366 2.844
C 1.277 4.597 1.849
C 1.277 5.843 2.715
```


Diffraction record for KNa2GePt2. The powder XRD pattern is theoretical, not measured: it uses a crystal structure in Alexandria, relaxed with PBE and Cu Ka.
Lines closer than 0.1° are merged.

Most intense lines, 5° ≤ 2θ ≤ 70°, in order of falling intensity:
2θ (°), I (rel.)
13.31, 100
28.98, 43
39.07, 30
36.56, 30
26.81, 23
45.91, 21
37.43, 18
48.72, 12

```
6
Lattice="4.916 0.000 0.000 0.000 4.916 0.000 0.000 0.000 6.650" Properties=species:S:1:pos:R:3 pbc="T T T"
K 0.000 0.000 0.000
Na 2.458 2.458 1.814
Na 2.458 2.458 4.836
Ge 0.000 0.000 3.325
Pt 0.000 2.458 3.325
Pt 2.458 0.000 3.325
```


Diffraction record for MnRh2. The powder XRD pattern is theoretical, not measured: it uses a crystal structure in Alexandria, relaxed with PBE and Cu Ka.
Lines closer than 0.1° are merged.

Most intense lines, 5° ≤ 2θ ≤ 70°, in order of falling intensity:
2θ (°), I (rel.)
42.29, 100
41.97, 100
61.10, 32
29.45, 14
24.04, 4
55.25, 4
52.37, 3
33.87, 3

```
6
Lattice="4.274 0.000 0.000 -2.137 3.702 0.000 0.000 0.000 5.292" Properties=species:S:1:pos:R:3 pbc="T T T"
Mn 0.000 2.468 1.323
Mn 2.137 1.234 3.969
Rh 0.000 0.000 0.000
Rh 0.000 0.000 2.646
Rh 0.000 2.468 3.969
Rh 2.137 1.234 1.323
```


Diffraction record for Al2BiTe4. The powder XRD pattern is theoretical, not measured: it uses a crystal structure in Alexandria, relaxed with PBE and Cu Ka.
Lines closer than 0.1° are merged.

Most intense lines, 5° ≤ 2θ ≤ 70°, in order of falling intensity:
2θ (°), I (rel.)
26.96, 100
42.94, 39
26.01, 31
16.66, 31
46.26, 24
33.56, 23
46.46, 23
29.93, 17

```
14
Lattice="8.445 0.000 0.000 0.000 8.445 0.000 0.000 0.000 6.853" Properties=species:S:1:pos:R:3 pbc="T T T"
Al 0.000 4.222 1.713
Al 0.000 4.222 5.139
Al 4.222 0.000 1.713
Al 4.222 0.000 5.139
Bi 0.000 0.000 0.000
Bi 4.222 4.222 3.426
Te 1.406 5.703 3.426
Te 1.481 2.816 0.000
Te 2.741 1.406 3.426
Te 2.816 6.964 0.000
Te 5.628 1.481 0.000
Te 5.703 7.039 3.426
Te 6.964 5.628 0.000
Te 7.039 2.741 3.426
```


Diffraction record for K4Hg2Se. The powder XRD pattern is theoretical, not measured: it uses a crystal structure in Alexandria, relaxed with PBE and Cu Ka.
Lines closer than 0.1° are merged.

Most intense lines, 5° ≤ 2θ ≤ 70°, in order of falling intensity:
2θ (°), I (rel.)
29.94, 100
19.66, 88
41.41, 77
27.94, 69
~~~
Back to the article:

“Are you scared?” he asked.

The question came as such a relief that she bobbed her head up and down quickly. “Oh, thank God you asked that. No one has. I’m terrified.”

“Come here.” He lifted his arm and made room for her to curl in next to his shoulder. She knew she shouldn’t but couldn’t resist. He was so solid and warm, reassuring. She closed her eyes as his arm circled around her and kept her close.

“It had to be a shock. Hell, I’m still shocked. We shouldn’t have been so careless.”

Charlotte didn’t know what to say. To admit that the fire between them had burned too hot to stop would add an element of something to this evening she wasn’t ready to discuss. “Well, it’s done. We’re going to be parents. I figure we’ll just do a lot of learning as we go.” She craned her neck to look up at him. “If we can act as if we’re on the same team, I think it’ll be okay.”

“Act? We are on the same team. We want the same things, right? Listen, I lost my mom young and it was just me and my dad. We did okay, but I want more for my kid. I’ll be there for them whenever I can.”

“And your dad now? Are you two still close?”

He nodded. “I don’t see him as much as I’d like, but yeah, we’re close. We get together for some drinks and darts at the pub ’round the corner from where I grew up. He’s still with the Met, but on a desk now.”

“I’m glad. That you still have each other.”

“Me, too.”